Single Parent


I have a quick question without going into all the details. My Taiwanese wife and I recently divorced after 10 years of marriage. I returned to the states in 2011 to help with family issues for 1 year. During that time she asked for a divorce. With out details I assumed it was a distance issue and worked and saved to return to Taiwan. After returning I discovered the reason for the divorce request. As they say “When the cats away the mice will play”

_Here the piece breaks off for records of crystals_
- - -
No. 1
Simulated X-ray powder pattern
Compound: Pd7Au2
Radiation: Cu Kα X-rays
Structure: the GGA-PBE geometry in Alexandria
Peak positions follow from Bragg's law for the DFT cell and can differ from measured ones.

Atomic structure:
Lattice parameters (Å, degrees): 4.8944 4.8944 6.9251 90.00 90.00 120.00
Space group P-31m (No. 162)
Unique sites:
Pd  0.0000  0.0000  0.0000 (multiplicity 1)
Pd  0.0000  0.3318  0.6634 (multiplicity 6)
Au  0.3333  0.6667  0.0000 (multiplicity 2)

Peak list (12 most intense, 2θ = 10–90°, low angle first)
- (0 0 1), 2θ 12.78, rel. 6
- (1 0 0), 2θ 20.96, rel. 2
- (1 0 1), 2θ 24.62, rel. 3
- (0 0 2), 2θ 25.73, rel. 2
- (1 0 2), 2θ 33.42, rel. 1
- (1 1 0), 2θ 36.72, rel. 2
- (1 1 1), 2θ 39.03, rel. 100
- (2 -1 2), 2θ 45.38, rel. 49
- (1 1 3), 2θ 54.66, rel. 1
- (3 0 0), 2θ 66.12, rel. 31
- (3 0 3), 2θ 79.54, rel. 37
- (2 2 2), 2θ 83.85, rel. 11



No. 2
Simulated X-ray powder pattern
Compound: ErBiPb2O6
Radiation: Cu Kα X-rays
Structure: the GGA-PBE geometry in Alexandria
Peak positions follow from Bragg's law for the DFT cell and can differ from measured ones.

Atomic structure:
Lattice parameters (Å, degrees): 5.9623 6.0707 10.3985 90.00 124.88 90.00
Space group P2_1/c (No. 14)
Unique sites:
Er  0.0000  0.0000  0.0000 (multiplicity 2)
Bi  0.5000  0.0000  0.5000 (multiplicity 2)
Pb  0.2459  0.0334  0.7510 (multiplicity 4)
O  0.1654  0.1995  0.4564 (multiplicity 4)
O  0.2635  0.7084  0.4576 (multiplicity 4)
O  0.3429  0.0229  0.2556 (multiplicity 4)

Peak list (12 most intense, 2θ = 10–90°, low angle first)
- (0 2 0), 2θ 29.43, rel. 24
- (1 1 1), 2θ 29.66, rel. 100
- (2 0 -2), 2θ 29.97, rel. 24
- (0 0 4), 2θ 42.38, rel. 13
- (2 2 -2), 2θ 42.50, rel. 23
- (1 3 1), 2θ 52.34, rel. 19
- (0 2 4), 2θ 52.44, rel. 11
- (3 1 -1), 2θ 53.02, rel. 23
- (2 2 2), 2θ 61.58, rel. 14
- (1 1 5), 2θ 69.74, rel. 10
- (3 3 -5), 2θ 69.91, rel. 8
- (1 3 5), 2θ 84.90, rel. 7



No. 3
Simulated X-ray powder pattern
Compound: RbTlHg
Radiation: Cu Kα X-rays
Structure: the GGA-PBE geometry in Alexandria
Peak positions follow from Bragg's law for the DFT cell and can differ from measured ones.

Atomic structure:
Lattice parameters (Å, degrees): 5.3922 5.3950 10.0541 89.62 89.76 60.17
Space group P-1 (No. 2)
Unique sites:
Rb  0.1665  0.1696  0.1683 (multiplicity 2)
Tl  0.1668  0.1660  0.5657 (multiplicity 2)
Hg  0.5002  0.4984  0.6637 (multiplicity 2)

Peak list (12 most intense, 2θ = 10–90°, low angle first)
- (1 0 -2), 2θ 26.00, rel. 58
- (0 1 -2), 2θ 26.09, rel. 30
- (1 1 3), 2θ 32.80, rel. 32
- (1 0 -3), 2θ 32.92, rel. 56
- (2 1 0), 2θ 33.19, rel. 100
- (1 2 1), 2θ 34.37, rel. 31
- (2 1 -1), 2θ 34.48, rel. 15
- (2 0 2), 2θ 42.58, rel. 15
- (1 0 5), 2θ 49.27, rel. 13
- (2 3 3), 2θ 58.99, rel. 12
- (3 2 3), 2θ 59.08, rel. 11
- (3 0 0), 2θ 59.25, rel. 23



No. 4
Simulated X-ray powder pattern
Compound: Pb2WBr
Radiation: Cu Kα X-rays
Structure: the GGA-PBE geometry in Alexandria
- - -
_Back to the piece_

After a few months trying to be understanding and work through it I gave up and agreed to the divorce. I have custody of our two kids and she has no obligation emotionally or financially to the kids or family. Which made it easy to get the divorce done. However, financially I am at ends. School, cram school, food and necessities are required. I am financially capable with these but it is very tight.

Even being polite and ask for some assistance is met with disdain. " You wanted the kids you have to pay" " Dont ask me for money".Blah, Blah, Blah…

My question is this…Now that the divorce is final is there any recourse to implement a child support claim against her? Without jeopardizing the current agreement? The kids dont ask about her, they dont miss her. Heck we lived in the US for more than a year and the only mention of their mother was when I brought up her birthday or mothers day. We have been well established as a family without her. But their are expenses and I feel it wrong for her to get off scott free with no worries. Living with her mother, paying not bills. etc. etc. While we have to scratch to get by.

I home this post does not go with out any comments. I would appreciate any advice whether 1st or 2nd hand experience.

You can try asking the legal forum for better answers.

=====
Record 1
For DyGaAg, a cell relaxed with GGA-PBE gives the simulated XRD peak list in this record (Cu Kα, 1.54184 Å).
Lines closer than 0.1° are merged.

Cell and atoms:
```
6
Lattice="5.2444 -2.2947 0.0000 5.2444 2.2947 0.0000 -4.8402 0.0000 5.3361" Properties=species:S:1:pos:R:3 pbc="T T T"
Dy -1.0350 0.0000 1.5519
Dy 6.6834 0.0000 3.7842
Ga -0.7118 0.0000 4.7208
Ga 6.3603 0.0000 0.6153
Ag 2.0817 0.0000 1.4827
Ag 3.5668 0.0000 3.8534
```

Peak list (8 most intense, 15 to 90 degrees two-theta, in order of rising 2θ)
d 2.757, 32.5°, I = 36; d 2.673, 33.5°, I = 100; d 2.648, 33.8°, I = 94; d 2.615, 34.3°, I = 30; d 2.295, 39.3°, I = 56; d 2.255, 40.0°, I = 85; d 1.740, 52.6°, I = 22; d 1.725, 53.1°, I = 20

=====

Record 2
For Dy6AgGe2S14, a cell relaxed with GGA-PBE gives the simulated XRD peak list in this record (Cu Kα, 1.54184 Å).
Lines closer than 0.1° are merged.

Cell and atoms:
```
23
Lattice="9.8471 0.0000 0.0000 -4.9235 8.5278 0.0000 0.0000 0.0000 5.7931" Properties=species:S:1:pos:R:3 pbc="T T T"
Dy -2.4946 4.7347 0.0000
Dy 2.5073 0.9587 2.8990
Dy 2.0704 4.0001 0.0000
Dy 0.4242 8.3208 0.0000
Dy 4.5001 5.8771 2.8990
Dy 7.7632 1.6920 2.8990
Ag 4.9235 2.8426 4.2723
Ge 0.0000 0.0000 0.4472
Ge 0.0000 5.6852 3.3654
S 0.0000 0.0000 4.0390
S -3.3177 7.2701 1.3933
S 0.2863 2.0195 1.3933
S -0.2814 3.6709 4.3055
S -1.6037 6.9361 4.3055
S 0.0000 5.6852 1.1607
S 3.1087 1.4781 5.5571
S 2.8614 3.6888 2.6829
S 5.2218 0.6337 2.6829
S 1.8851 6.4486 4.3055
S 3.0314 7.7660 1.3933
S 4.6492 5.0966 5.5571
S 7.0127 1.9532 5.5571
S 6.6874 4.2054 2.6829
```

Peak list (8 most intense, 15 to 90 degrees two-theta, in order of rising 2θ)
d 4.792, 18.5°, I = 22; d 4.264, 20.8°, I = 21; d 3.752, 23.7°, I = 24; d 3.434, 25.9°, I = 100; d 2.462, 36.5°, I = 46; d 2.396, 37.5°, I = 40; d 2.365, 38.0°, I = 25; d 2.190, 41.2°, I = 25

* * * * *

# MnIn5Br8
Theoretical X-ray diffraction stick pattern, Cu Kα X-rays. Input: a structure optimized by DFT (PBE).
Lines closer than 0.1° are merged.

Structural model:
Cell lengths 9.128, 9.128, 9.128 Å; angles 119.96, 119.96, 90.06 degrees
Element x y z (fractional)
Mn 0.000 0.000 0.000
In 0.113 0.371 0.742
In 0.250 0.750 0.500
In 0.628 0.371 0.258
In 0.629 0.372 0.742
In 0.629 0.887 0.258
Br 0.336 0.112 0.224
Br 0.375 0.124 0.750
Br 0.375 0.625 0.250
Br 0.375 0.625 0.750
Br 0.876 0.625 0.250
Br 0.888 0.112 0.224
Br 0.888 0.112 0.776
Br 0.888 0.664 0.776

Largest 10 diffraction maxima, low angle first, 10° ≤ 2θ ≤ 80°:
d = 4.565 Å, 2θ = 19.45°, I = 13
d = 3.893 Å, 2θ = 22.84°, I = 73
d = 3.228 Å, 2θ = 27.64°, I = 72
d = 2.485 Å, 2θ = 36.15°, I = 25
d = 2.282 Å, 2θ = 39.48°, I = 100
d = 1.864 Å, 2θ = 48.87°, I = 18
d = 1.681 Å, 2θ = 54.60°, I = 24
d = 1.614 Å, 2θ = 57.07°, I = 15
d = 1.444 Å, 2θ = 64.56°, I = 21
d = 1.318 Å, 2θ = 71.61°, I = 29

***

# Pm4SnRh4
Theoretical X-ray diffraction stick pattern, Cu Kα X-rays. Input: a structure optimized by DFT (PBE).
Lines closer than 0.1° are merged.

Structural model:
=====

What I think - and I have no idea how true this is, as I don’t remember where I heard it - is that how the law stands is that you can sue her and have a child support order awarded against her, but even with that they can’t make her pay. As a single parent family you should be able to receive some assistance from the govt though, so you might want to go and talk to your local household registration office and see what they say. There are programmes and stuff around to help out disadvantaged families, and single-parent is one of the qualifiers; you might be over the income threshold, though.

Also talk to the immigration office and get them to put you in touch with the foreign spouse support services. Yes, it’s mostly women from SE Asia, but there are a lot of services that you can take advantage of, too.

You need to talk to a lawyer. You can try but you may make too much money to be eligible. Otherwise you will pay something like NT$5-10,000 to have a consultation to find ot what you can do.

I believe that child support (fuyangfei) isa legal duty of both parents, but you will need to check your divorce agreement to see if you agreed to pay all child support in exchange for custody.

If not, she has a legal duty to pay and you can sue her to make her pay. It appears to me from looking at cases that the Taiwan courts usually award between NT$8,000-NT$15,000 per month in child support depending on the circumstances of the non-paying ex-spouse.

Enforcement can be really difficult if your ex-wife has irregular work, is paid under the table, or changes jobs a lot. But if she has a steady office job or, better yet, a government job such as a teacher, you can get a lien on her wages.

Again, you really need a lawyer to help you evaluate what your rights are and whether there is a cost-effective way to pursue them.

I wonder if it would be effective to put pressure on her parents, who may buy into the familial obligation angle and thereby put pressure on her. Just a thought.